• Data:
=====
No. 1
MgFe2B2O6 | GGA+U | optimized geometry

## Properties
Space group = C2/m
E = -7.028 eV/atom

abc: 5.1770 5.1770 5.5325
angles: 100.89 100.89 63.41
Fractional coordinates of all 11 atoms:
Mg  0.0000  0.0000  0.0000
Fe  0.5000  0.5000  0.0000
Fe  0.5000  0.5000  0.5000
B  0.1774  0.1774  0.7413
B  0.8226  0.8226  0.2587
O  0.1178  0.6850  0.2161
O  0.3150  0.8822  0.7839
O  0.3225  0.3225  0.6946
O  0.6775  0.6775  0.3054
O  0.6850  0.1178  0.2161
O  0.8822  0.3150  0.7839

=====

No. 2
GdWO5 | GGA+U | optimized geometry

## Properties
Space group = P2_1/c
E = -8.862 eV/atom

abc: 5.3258 12.8924 7.0397
angles: 90.00 116.38 90.00
Fractional coordinates of all 28 atoms:
Gd  0.1347  0.0566  0.2849
Gd  0.1347  0.4434  0.7849
Gd  0.8653  0.5566  0.2151
Gd  0.8653  0.9434  0.7151
W  0.3898  0.1393  0.8459
W  0.3898  0.3607  0.3459
W  0.6102  0.6393  0.6541
W  0.6102  0.8607  0.1541
O  0.0265  0.0914  0.5695
O  0.0265  0.4086  0.0695
O  0.2036  0.0655  0.9733
O  0.2036  0.4345  0.4733
O  0.2682  0.6484  0.4268
O  0.2682  0.8516  0.9268
O  0.2945  0.2259  0.2936
O  0.2945  0.2741  0.7936
O  0.4915  0.5709  0.8420
O  0.4915  0.9291  0.3420
O  0.5085  0.0709  0.6580
O  0.5085  0.4291  0.1580
O  0.7055  0.7259  0.2064
O  0.7055  0.7741  0.7064
O  0.7318  0.1484  0.0732
O  0.7318  0.3516  0.5732
O  0.7964  0.5655  0.5267
O  0.7964  0.9345  0.0267
O  0.9735  0.5914  0.9305
O  0.9735  0.9086  0.4305

=====

No. 3
CaFeP2O7 | GGA+U | optimized geometry

## Properties
E = -7.242 eV/atom

abc: 7.3324 9.7833 8.6719
angles: 105.87 110.50 69.67
Fractional coordinates of all 44 atoms:
Ca  0.5199  0.6506  0.7932
Ca  0.0199  0.1507  0.2932
Ca  0.9801  0.8493  0.7068
Ca  0.4801  0.3494  0.2068
Fe  0.5105  0.2612  0.6129
Fe  0.4893  0.7387  0.3870
Fe  0.0105  0.7613  0.1129
Fe  0.9895  0.2387  0.8871
P  0.1876  0.5610  0.4146
P  0.6876  0.0610  0.9147
P  0.3124  0.9390  0.0853
P  0.8124  0.4390  0.5854
P  0.7004  0.9705  0.3415
P  0.2004  0.4703  0.8415
P  0.7997  0.5297  0.1586
P  0.2997  0.0295  0.6585
O  0.5485  0.9304  0.1579
O  0.0485  0.4303  0.6578
O  0.9515  0.5696  0.3422
O  0.4516  0.0695  0.8421
O  0.8151  0.8989  0.9170
O  0.3150  0.3989  0.4169
O  0.6851  0.6012  0.5832
O  0.1849  0.1011  0.0830
O  0.7900  0.6332  0.0485
O  0.2899  0.1331  0.5484
O  0.7103  0.8669  0.4516
O  0.2100  0.3668  0.9516
O  0.5971  0.5642  0.1976
O  0.0972  0.0638  0.6975
O  0.9029  0.9363  0.3025
O  0.4030  0.4359  0.8025
O  0.2954  0.8441  0.9131
O  0.7952  0.3442  0.4132
O  0.2048  0.6558  0.5869
O  0.7046  0.1559  0.0869
O  0.2573  0.8794  0.2071
O  0.7574  0.3794  0.7073
O  0.2425  0.6206  0.2927
O  0.7427  0.1206  0.7929
O  0.8882  0.3665  0.0948
O  0.3885  0.8663  0.5946
O  0.6114  0.1337  0.4052
O  0.1117  0.6335  0.9052

=====

In eV per atom, the formation energy from the elements values for the records above are, in order, -2.214; -2.591; -2.799.


# 1
Material: Ca2NF
Method: DFT, PBE
State: relaxed

Lattice parameters (Å, degrees): 6.1705 6.1705 6.1705 33.37 33.37 33.37
Positions (direct):
Ca1 0.2386 0.2386 0.2386
Ca2 0.7614 0.7614 0.7614
N1 0.5000 0.5000 0.5000
F1 0.0000 0.0000 0.0000

Values from the calculation:
Magnetization, μB per atom: 0.000
DFT total energy, eV for the cell shown: -22.40
Energy with MP2020 corrections, eV per atom: -5.71
E_form, eV per formula unit: -8.60

# 2
Material: NaCaNb2O6F
Method: DFT, PBE
State: relaxed

Lattice parameters (Å, degrees): 7.4815 7.4815 7.4815 120.38 119.56 90.05
Positions (direct):
Na1 0.5000 0.0000 0.0000
Na2 0.5000 0.5000 0.5000
Ca1 0.0000 0.0000 0.0000
Ca2 0.5000 0.0000 0.5000
Nb1 0.0000 0.0000 0.5000
Nb2 0.0000 0.5000 0.0000
Nb3 0.0000 0.5000 0.5000
Nb4 0.5000 0.5000 0.0000
O1 0.0635 0.4267 0.2436
O2 0.0635 0.8199 0.6368
O3 0.0726 0.8226 0.2500
O4 0.3134 0.5634 0.7500
O5 0.3169 0.1801 0.7436
O6 0.3169 0.5733 0.1368
O7 0.6831 0.4267 0.8632
O8 0.6831 0.8199 0.2564
O9 0.6866 0.4366 0.2500
O10 0.9274 0.1774 0.7500
O11 0.9365 0.1801 0.3632
O12 0.9365 0.5733 0.7564
F1 0.3682 0.1182 0.2500
=====
• What to do:
Duplicate every line above that contains the word "DFT", please.
• Done:
Method: DFT, PBE
DFT total energy, eV for the cell shown: -22.40
Method: DFT, PBE